Windrush 75 events calendar

Windrush Compensation Scheme Advice - Drop In Sessions
If the Windrush scandal has affected you and you suffered losses because you could not confirm your legal status, you may be eligible for compensation from the government.
If you think this could affect you, free and confidential advice is available in Hackney, about making an application for compensation from the Windrush Compensation Scheme.

- - -
Diffraction record for NpSn2Se4. The powder diffraction line list is simulated, not measured: it uses a cell relaxed with PBE and CuKα.
Kinematic intensities with the Lorentz-polarization factor, no thermal factor.

Cell and atoms:
a = 8.682 Å, b = 8.682 Å, c = 12.015 Å
α = 90.00°, β = 90.00°, γ = 90.00°
Space group P4_122 (No. 91)
Unique sites:
Np1 0.000 0.251 0.000 (multiplicity 4)
Sn1 0.247 0.247 0.375 (multiplicity 4)
Sn2 0.255 0.500 0.750 (multiplicity 4)
Se1 0.027 0.240 0.763 (multiplicity 8)
Se2 0.237 0.475 0.001 (multiplicity 8)

Top 6 peaks for 2θ from 10° to 90°, in order of rising 2θ:
| Position (°2θ) | d_spacing | intensity | h k l |
| --- | --- | --- | --- |
| 24.09 | 3.695 | 85 | 2 1 1 |
| 24.48 | 3.637 | 51 | 1 0 3 |
| 29.09 | 3.070 | 65 | 2 2 0 |
| 38.11 | 2.361 | 53 | 3 2 1 |
| 41.61 | 2.171 | 50 | 4 0 0 |
| 42.09 | 2.147 | 100 | 2 2 4 |

Diffraction record for NpTa2Tl2Se6. The powder diffraction line list is simulated, not measured: it uses a cell relaxed with PBE and CuKα.
Kinematic intensities with the Lorentz-polarization factor, no thermal factor.

Cell and atoms:
a = 6.730 Å, b = 11.022 Å, c = 8.306 Å
α = 90.00°, β = 100.17°, γ = 90.00°
Space group C2/m (No. 12)
Unique sites:
Np1 0.000 0.000 0.000 (multiplicity 2)
Ta1 0.000 0.364 0.000 (multiplicity 4)
Tl1 0.000 0.172 0.500 (multiplicity 4)
Se1 0.208 0.500 0.220 (multiplicity 4)
Se2 0.231 0.183 0.185 (multiplicity 8)

Top 6 peaks for 2θ from 10° to 90°, in order of rising 2θ:
| Position (°2θ) | d_spacing | intensity | h k l |
| --- | --- | --- | --- |
| 10.82 | 8.175 | 39 | 0 0 1 |
| 30.76 | 2.907 | 100 | 1 3 1 |
| 31.62 | 2.829 | 52 | 2 0 -2 |
| 37.86 | 2.376 | 25 | 2 0 2 |
| 41.58 | 2.172 | 37 | 1 3 -3 |
| 47.67 | 1.908 | 42 | 3 3 -1 |

Diffraction record for TbNpSe. The powder diffraction line list is simulated, not measured: it uses a cell relaxed with PBE and CuKα.
Kinematic intensities with the Lorentz-polarization factor, no thermal factor.

Cell and atoms:
a = 16.874 Å, b = 3.804 Å, c = 4.207 Å
α = 90.00°, β = 90.00°, γ = 90.00°
Space group Pnma (No. 62)
Unique sites:
Tb1 0.180 0.250 0.241 (multiplicity 4)
Np1 0.003 0.750 0.190 (multiplicity 4)
Se1 0.143 0.750 0.738 (multiplicity 4)

Top 6 peaks for 2θ from 10° to 90°, in order of rising 2θ:
| Position (°2θ) | d_spacing | intensity | h k l |
| --- | --- | --- | --- |
| 10.49 | 8.437 | 41 | 2 0 0 |
| 31.82 | 2.812 | 46 | 6 0 0 |
| 33.49 | 2.676 | 100 | 2 1 1 |
| 38.38 | 2.345 | 64 | 4 1 1 |
| 43.00 | 2.104 | 19 | 0 0 2 |
| 54.32 | 1.689 | 29 | 8 1 1 |

Diffraction record for Tb3NpSe6. The powder diffraction line list is simulated, not measured: it uses a cell relaxed with PBE and CuKα.
Kinematic intensities with the Lorentz-polarization factor, no thermal factor.

Cell and atoms:
a = 11.633 Å, b = 4.123 Å, c = 11.870 Å
α = 90.00°, β = 108.97°, γ = 90.00°
Space group P2_1/m (No. 11)
Unique sites:
Tb1 0.068 0.250 0.167 (multiplicity 2)
Tb2 0.181 0.750 0.502 (multiplicity 2)
Tb3 0.342 0.250 0.918 (multiplicity 2)
- - -
Here the article continues

Windrush Compensation Scheme Advice - Drop In Sessions
If the Windrush scandal has affected you and you suffered losses because you could not confirm your legal status, you may be eligible for compensation from the government.
If you think this could affect you, free and confidential advice is available in Hackney, about making an application for compensation from the Windrush Compensation Scheme.

Windrush Compensation Scheme Advice - Drop In Sessions
If the Windrush scandal has affected you and you suffered losses because you could not confirm your legal status, you may be eligible for compensation from the government.
If you think this could affect you, free and confidential advice is available in Hackney, about making an application for compensation from the Windrush Compensation Scheme.

All the Generations Windrush Zine-making workshop
As part of Hackney Archives Windrush Season, join us in a safe, encouraging and creative space to make your own Windrush 75 Zine.

Uprising Windrush Street Party
Join in the Windrush 75 celebrations with Uprising Community Club’s street party. Open to everyone of all ages, the street party includes music, poetry, dance, food, and reflection on the journey of Hackney’s Windrush generation.

A Windrush Story for Families
Dates to be confirmed: July & November
Chats Palace is bringing together local Primary schools & local elders (via The Palace Club) to share their life stories in the context of the lived experience of older and younger Windrush Generations.

Windrush Compensation Scheme Advice - Drop In Sessions
If the Windrush scandal has affected you and you suffered losses because you could not confirm your legal status, you may be eligible for compensation from the government.
If you think this could affect you, free and confidential advice is available in Hackney, about making an application for compensation from the Windrush Compensation Scheme.

Windrush 75: Amelia Gentleman, Michael Braithwaite & Judy Griffith
Amelia Gentleman's exposé, The Windrush Betrayal, shocked the nation. On 29 June, she will discuss the aftermath of the Windrush scandal with Michael Braithwaite & Judy Griffith, two victims of the UK's "hostile environment" immigration policy.

The glorious finale of Grand Union Orchestra’s week-long festival: soaring voices, hypnotic drums, roaring brass, fiery jazz soloists and a spectacular drum and percussion ensemble tell the backstory of the Windrush Generation and the African diaspora.

Windrush Sunday Celebration
SAINT's Windrush Sunday 75th Anniversary Celebrations include a screening of the brand new short film 'Legacy', a unique look at the Windrush Story of Leroy Logan MBE and his family.
Leroy will be joined in conversation by his 'Second Mum' Jessie Stephens MBE. Lunch will be served afterwards in the Walled Garden.

Woodberry Down Windrush Celebration Day
Join Manor House Development Trust at the Redmond Community Centre for a day of community celebration with free Caribbean food, children's activities and Windrush-themed performances including spoken word, sketch theatre and participatory drumming.

In June 1948 the SS Empire Windrush arrived at Tilbury Docks with the first influx of the Windrush Generation. Fast forward to 2023 and experience this incredible narrated musical as we tell their story and how the music they brought with them went on to take the world by storm.

House of Amau presents the Afrikan Heritage Writers Anthology Readings: 100 Years Unheard
Given voice through poetry and prose through the Afrikan heritage writers. 100 Years Unheard is the first anthology by the AHW published in the centenary year marking the end of WW1 it is a collection of new poetry and prose based on the likely experiences of women of Africa and diaspora, left behind when their husbands, sweethearts, sons, brothers and other male folk, went off to fight for desperate armies on one side or the other, of the Great War.
Pieces from the book will be read and performed by the original writers.

Grand Union Orchestra AllStars, Shoreditch and Hoxton Community Orchestra Windrush Day celebration dance and barbecue.
Early evening party with delicious Caribbean food provided by local residents and volunteers! African and Caribbean music provided by the Community Orchestra with the help of Grand Union musicians.
Admission: pay what you can afford, or for what you eat!

Hoxton Celebrates ...Windrush
The Hoxton Trust and Grand Union Orchestra tell the story and backstory of the Windrush generation

Celebrating Windrush 75 - Hackney Caribbean Elderly Organisation
Join Hackney Caribbean Elderly Organisation in the celebrations with an afternoon of arts and culture, health & wellbeing activities and more.

Legacy Reading Rooms at Hackney Archives
Displaying a variety of materials to interact, read, and browse during the Windrush Season, Hackney Archives opens a space for the community to sit and reflect on Hackney's pioneering spirit and celebrate African and African Caribbean contributions,history and culture.
Everyone is invited to use the space, securing the ongoing legacy of the Dalston CLR James Library as a meaningful cultural resource ensuring the history and contributions of these communities in Hackney, are preserved and shared.

ReVive Festival - a captivating tribute to Windrush
Welcome to International Day! An extraordinary event celebrating diversity, art and community. The main feature of this grand occasion is the ReVive Festival - a captivating tribute to Windrush.

Come and find out more about the S&HCO. It doesn’t require a high level of skill, nor the ability to read music, just enthusiasm and an open mind! And if you enjoy it, you’ll be welcome to play in the celebrations on Windrush Day (22nd)

Chats Lunch Club Celebrate Windrush 75
A special celebration 2-day event for the older generation in Hackney to celebrate Windrush 75.
Have fun with activities including exercising Windrush music, poetry reading, storytelling, sharing experiences, a singalong, music and dancing.

Windrush Compensation Scheme Advice - Drop In Sessions
If the Windrush scandal has affected you and you suffered losses because you could not confirm your legal status, you may be eligible for compensation from the government.
If you think this could affect you, free and confidential advice is available in Hackney, about making an application for compensation from the Windrush Compensation Scheme.

Windrush 75 - Amity Outreach
Celebrating Windrush 75 with older people aged 60+ living in sheltered accommodations across Hackney. The Amity Project London will visit six venues.

Following On the Trail of the Bengal Tiger celebrating the 50th anniversary of the independence of Bangladesh, Re:Gen musicians present their own response to the story of the Windrush Generation and the African diaspora.

The youth orchestra continues with a masterclass in Caribbean music.

Grand Unions’s Windrush commemoration week gets under way with an unbridled evening of Caribbean, Latin and African dance rhythms, featuring the Grand Union Orchestra’s much- loved brass and sax soloists in unwrapped mode, plus some surprise special guests! (In partnership with Local and Live in Hackney)

Hackney Town Hall and Windrush Sculptures Tour
Explore Hackney Town Hall on this free guided tour, you’ll also visit and learn about the significance of the borough’s two new Windrush sculptures in Hackney Town Hall Square and in the Narrow Way.

Windrush Compensation Scheme Advice - Drop In Sessions
If the Windrush scandal has affected you and you suffered losses because you could not confirm your legal status, you may be eligible for compensation from the government.
If you think this could affect you, free and confidential advice is available in Hackney, about making an application for compensation from the Windrush Compensation Scheme.

Hackney Town Hall and Windrush Sculptures Tour
Explore Hackney Town Hall on this free guided tour, you’ll also visit and learn about the significance of the borough’s two new Windrush sculptures in Hackney Town Hall Square and in the Narrow Way.

Recent Acquisition: Journeys to Hope
Autograph London presents a new outdoor display sharing the journey of the Windrush generation before, during and after arriving in the UK.